Canon EOS R5 Autofocus Not Working: Causes and How to Fix It

Canon EOS R5 Autofocus Not Working: Causes and How to Fix It

The Canon EOS R5 is a highly regarded mirrorless camera, celebrated for its superior image quality, rapid autofocus system, and user-friendly operation. It’s an ideal choice for capturing everyday moments and is equally adept at both photography and videography. However, even with its impressive performance, users might occasionally face challenges, such as autofocus not working properly. This article is here to assist you if you’re experiencing this issue with your Canon EOS R5.

== The entry is interrupted by calculated crystals ==
____________
Record 1
For Cs2SmCuCl6, a DFT-relaxed cell (PBE, the Materials Project) gives the theoretical powder diffraction line list in this record (Cu Kα, 1.54184 Å).

Top 6 peaks for 15 to 90 degrees two-theta, low angle first:
two_theta  I (rel.)
23.71  100
33.78  59
41.69  46
48.52  40
54.70  21
65.85  24

Structural model:
Cell lengths 7.5049, 7.5049, 7.5049 Å; angles 60.00, 60.00, 60.00 degrees
Element x y z (fractional)
Cs  0.2500  0.2500  0.2500
Cs  0.7500  0.7500  0.7500
Sm  0.0000  0.0000  0.0000
Cu  0.5000  0.5000  0.5000
Cl  0.2554  0.2554  0.7446
Cl  0.2554  0.7446  0.2554
Cl  0.2554  0.7446  0.7446
Cl  0.7446  0.2554  0.2554
Cl  0.7446  0.2554  0.7446
Cl  0.7446  0.7446  0.2554



Record 2
For NiMo3S4, a DFT-relaxed cell (PBE, the Materials Project) gives the theoretical powder diffraction line list in this record (Cu Kα, 1.54184 Å).

Top 6 peaks for 15 to 90 degrees two-theta, low angle first:
two_theta  I (rel.)
17.87  71
26.37  100
28.97  75
34.39  85
46.66  82
47.71  81

Structural model:
Cell lengths 6.4167, 6.5691, 6.5898 Å; angles 98.21, 97.02, 91.40 degrees
Element x y z (fractional)
Ni  0.1652  0.4085  0.4432
Ni  0.8348  0.5915  0.5568
Mo  0.2194  0.0437  0.9097
Mo  0.4078  0.7128  0.0355
Mo  0.4580  0.1033  0.2932
Mo  0.5420  0.8967  0.7068
Mo  0.5922  0.2872  0.9645
Mo  0.7806  0.9563  0.0903
S  0.1429  0.8862  0.2184
S  0.1972  0.6884  0.6932
S  0.2696  0.3771  0.1302
S  0.3582  0.2191  0.6444
S  0.6418  0.7809  0.3556
S  0.7304  0.6229  0.8698
S  0.8028  0.3116  0.3068
S  0.8571  0.1138  0.7816

* * * * *

Entry 1:
# SiC
Theoretical XRD peak list, copper Kα. Input: a crystal structure in the Materials Project, relaxed with PBE.

Peak list (10 most intense, 10 to 90 degrees two-theta, low angle first)
2θ/deg, d_spacing, I_rel, hkl
33.48, 2.677, 29.1, 1 0 1
34.70, 2.585, 77.8, 1 0 13
34.89, 2.572, 38.7, 0 1 14
35.47, 2.530, 100.0, 0 0 51
37.85, 2.377, 66.5, 1 0 25
38.19, 2.357, 60.3, 0 1 26
59.82, 1.546, 86.9, 1 1 0
65.03, 1.434, 30.0, 1 0 76
65.72, 1.421, 28.6, 0 1 77
71.51, 1.319, 67.6, 1 1 51

Cell and atoms:
```
data_SiC
_chemical_formula_sum 'Si51 C51'
_symmetry_space_group_name_H-M 'R 3 m'
_symmetry_Int_Tables_number 160
_symmetry_space_group_name_Hall 'R 3 -2"'
_cell_length_a 3.0921
_cell_length_b 3.0921
_cell_length_c 129.0641
_cell_angle_alpha 90.00
_cell_angle_beta 90.00
_cell_angle_gamma 120.00
loop_
_atom_site_label
_atom_site_fract_x
_atom_site_fract_y
_atom_site_fract_z
Si1 0.0000 0.0000 0.0000
Si2 0.0000 0.0000 0.0393
Si3 0.0000 0.0000 0.0785
Si4 0.0000 0.0000 0.1177
Si5 0.0000 0.0000 0.1568
Si6 0.0000 0.0000 0.1960
Si7 0.0000 0.0000 0.2744
Si8 0.0000 0.0000 0.3530
Si9 0.0000 0.0000 0.4314
Si10 0.0000 0.0000 0.5097
Si11 0.0000 0.0000 0.5685
Si12 0.0000 0.0000 0.6470
Si13 0.0000 0.0000 0.7255
Si14 0.0000 0.0000 0.8040
Si15 0.0000 0.0000 0.8823
Si16 0.0000 0.0000 0.9215
Si17 0.0000 0.0000 0.9607
C1 0.0000 0.0000 0.0246
C2 0.0000 0.0000 0.0638
C3 0.0000 0.0000 0.1030
C4 0.0000 0.0000 0.1421
C5 0.0000 0.0000 0.1813
____________

We will explore the various reasons why the autofocus might malfunction and offer practical solutions to resolve these problems. By identifying the root causes and applying the recommended fixes, you can restore the full functionality of your Canon EOS R5’s autofocus system and continue enjoying a smooth photography or videography experience. Let’s delve into troubleshooting the autofocus issues of the Canon EOS R5.

Canon EOS R5 Autofocus Not Working: Causes and How to Fix It

1. Incorrect Focus Mode

One of the most common reasons why the autofocus on the Canon EOS R5 camera may not work properly is that the focus mode is set incorrectly. The camera has different focus modes to suit different shooting situations and subjects, such as One-Shot AF, AI Servo AF, and AI Focus AF. If the focus mode does not match the subject movement or the shooting conditions, the camera may fail to focus or track the subject accurately. For example, if the subject is moving and the focus mode is set to One-Shot AF, the camera will lock the focus when the shutter button is pressed halfway and will not adjust the focus as the subject moves. This may result in blurry or out-of-focus images. Similarly, if the subject is still and the focus mode is set to AI Servo AF, the camera will continuously adjust the focus even when the subject is not moving, which may cause the focus to shift or hunt. Therefore, it is important to select the appropriate focus mode for the scene and the subject before taking a picture. To change the focus mode, press the AF-ON button and use the main dial or the quick control dial to select the desired mode. You can also customize the buttons and dials to assign different focus modes to them.

2. Manual Focus Mode Activated

Another possible cause of autofocus not working on the Canon EOS R5 camera is that the manual focus mode is activated. This mode allows you to adjust the focus manually by turning the lens focusing ring, without using the autofocus system. The manual focus mode can be useful for situations where the autofocus may not perform well, such as macro photography, low light, or low contrast scenes.

To activate the manual focus mode, there are two options:

  • Set the lens’s focus mode switch to MF. This will disable the autofocus completely and let you control the focus manually. For lenses without a focus mode switch, set [: Focus mode] to [MF] in the camera menu.
  • Set the lens’s focus mode switch to AF and enable the Lens electronic MF option in the camera menu. This will allow you to adjust the focus manually after the autofocus operation, by keeping the shutter button pressed halfway and turning the lens focusing ring.

To deactivate the manual focus mode, you can either set the lens’s focus mode switch back to AF or disable the Lens electronic MF option in the camera menu, depending on the option they used to activate it.

Materials data that have nothing to do with the text.
=====
Structure and theoretical XRD peak list of La2FeCN (a DFT-relaxed cell (GGA-PBE, Alexandria); a wavelength of 1.5418 Å).

The 10 most intense peaks (10 to 80 degrees two-theta), sorted by position:
h k l	2theta	Rel. int.
1 1 0	24.35	678
0 0 1	25.51	822
2 0 0	34.70	1000
1 1 1	35.55	833
2 0 1	43.56	798
2 2 0	49.89	345
2 2 1	56.85	364
3 1 1	62.75	311
2 0 2	64.39	310
2 2 2	75.26	194

Structural model:
```
data_La2FeCN
_chemical_formula_sum 'La2 Fe1 C1 N1'
_cell_length_a 5.1700
_cell_length_b 5.1700
_cell_length_c 3.4923
_cell_angle_alpha 90.00
_cell_angle_beta 90.00
_cell_angle_gamma 90.00
_symmetry_space_group_name_H-M 'P 4/m m m'
_symmetry_Int_Tables_number 123
_symmetry_space_group_name_Hall '-P 4 2'
loop_
_atom_site_label
_atom_site_fract_x
_atom_site_fract_y
_atom_site_fract_z
La1 0.0000 0.5000 0.0000
Fe1 0.0000 0.0000 0.0000
C1 0.5000 0.5000 0.5000
N1 0.0000 0.0000 0.5000
```


[1]
For VIr, the GGA-PBE geometry in the Materials Project gives the computed powder diffractogram in this record (λ = 1.5418 Å (Cu Kα)).

Main lines, in order of falling intensity (2θ = 5–70°):
d [Å]	I/Imax
2.202	100
2.779	35
3.608	31
1.984	19
1.947	17
1.804	12
1.390	11
1.513	10
1.714	9
1.738	9

Atomic structure:
```
VIr
1.0
3.608 -3.894 0.000
3.608 3.894 0.000
0.000 0.000 3.968
V Ir
4 4
Direct
0.000 0.000 0.000
0.218 0.782 0.500
0.500 0.500 0.000
0.782 0.218 0.500
0.000 0.500 0.000
0.273 0.273 0.500
0.500 0.000 0.000
0.727 0.727 0.500
```

[2]
For LaSn6Ru4, the GGA-PBE geometry in the Materials Project gives the computed powder diffractogram in this record (λ = 1.5418 Å (Cu Kα)).

Main lines, in order of falling intensity (2θ = 5–70°):
d [Å]	I/Imax
2.265	100
2.850	49
2.973	48
2.213	43
2.205	35
2.464	31
1.505	22
1.747	22
1.667	19
2.985	18

Atomic structure:
```
LaSn6Ru4
1.0
-3.485 3.485 4.954
3.485 -3.485 4.954
3.485 3.485 -4.954
La Sn Ru
1 6 4
Direct
0.000 0.000 0.000
0.000 0.500 0.500
0.119 0.472 0.000
0.472 0.119 0.000
0.500 0.000 0.500
0.528 0.528 0.647
0.881 0.881 0.353
0.249 0.249 0.656
0.406 0.751 0.000
0.594 0.594 0.344
0.751 0.406 0.000
```

[3]
For DyCo3, the GGA-PBE geometry in the Materials Project gives the computed powder diffractogram in this record (λ = 1.5418 Å (Cu Kα)).

Main lines, in order of falling intensity (2θ = 5–70°):
d [Å]	I/Imax
2.115	100
2.477	52
2.706	49
2.486	42
2.137	37
1.431	24
1.349	21
1.470	15
1.353	13
1.964	12

Atomic structure:
```
DyCo3
1.0
2.477 1.430 8.133
-2.477 1.430 8.133
0.000 -2.861 8.133
Dy Co
3 9
Direct
0.000 0.000 0.000
0.139 0.139 0.139
0.861 0.861 0.861
0.079 0.582 0.582
0.335 0.335 0.335
0.418 0.418 0.921
0.418 0.921 0.418
0.500 0.500 0.500
0.582 0.079 0.582
0.582 0.582 0.079
0.665 0.665 0.665
0.921 0.418 0.418
```

[4]
For K2GaHgBr6, the GGA-PBE geometry in the Materials Project gives the computed powder diffractogram in this record (λ = 1.5418 Å (Cu Kα)).

Main lines, in order of falling intensity (2θ = 5–70°):
d [Å]	I/Imax
2.761	100
5.521	97
1.952	70
2.469	51
1.840	27
3.904	26
3.188	25
1.594	24
3.329	17
2.533	16
=====

3. Autofocus Lock Engaged

Sometimes, the autofocus on the Canon EOS R5 camera may not work because the autofocus lock is engaged. This feature allows you to lock the focus on a specific subject and recompose the shot without changing the focus. This is useful for shooting subjects that are not in the center of the frame, or for shooting multiple shots with the same focus setting.

To disengage the autofocus lock, you can either release the AF-ON button or change the [: Shutter button] option back to [Metering and AF start] in the camera menu, depending on the option they used to engage it.

4. Low Light or Low Contrast Scenes

The Canon EOS R5 camera has a remarkable autofocus system that can operate in light levels as low as -6EV1, which is equivalent to the illumination of a half-moon2. However, there are still some situations where the autofocus may struggle or fail to achieve accurate focus, such as in very low light or low contrast scenes. Low light or low contrast scenes are those where the difference between the brightness or the color of the subject and the background is very small, making it hard for the autofocus system to detect the edges or the details of the subject3. For example, a dark subject against a dark background, or a white subject against a white background, may pose a challenge for the autofocus. In such cases, the autofocus may take longer to lock on the subject, or it may hunt back and forth, or it may focus on the wrong area.

To overcome this problem, you can try the following tips:

5. Lens Compatibility Issues

The Canon EOS R5 camera has a new lens mount system called the RF mount, which is designed to offer better performance and features than the previous EF mount. However, this also means that the camera is not directly compatible with the EF lenses, which are the most common and widely used lenses for Canon DSLRs. To use the EF lenses on the Canon EOS R5 camera, you needs to attach an adapter, which is a device that connects the lens and the camera body. Canon offers three types of adapters for the RF mount: a plain adapter, an adapter with a control ring, and an adapter with a variable ND filter.

While the adapters allow you to use the EF lenses on the Canon EOS R5 camera, they may also introduce some issues or limitations that affect the autofocus performance. Some of these issues are:

  • Size and weight: The adapters add some extra size and weight to the camera and lens combination, which may make it more difficult to handle or balance. The adapters also increase the distance between the lens and the sensor, which may affect the image quality or the focal length.
  • Communication: The adapters may interfere with the communication between the lens and the camera, which may cause some errors or malfunctions. For example, the camera may not recognize the lens, or the autofocus may not work at all. This may happen if the adapter or the lens is dirty, damaged, or outdated.
  • Performance: The adapters may reduce the performance or the functionality of the lens or the camera, which may affect the autofocus speed, accuracy, or reliability. For example, the lens may not support some of the autofocus features or modes that the camera offers, or the autofocus may be slower or less responsive than with the native RF lenses.

To avoid or solve these issues, you can try the following tips:

  • Check the compatibility: you should check the compatibility of the lens and the adapter with the camera before using them. Some lenses may not be compatible with some adapters, or they may require a firmware update to work properly. you can use the Canon Lens Compatibility Checker or the Canon Knowledge Base to find out the compatibility information.
  • Clean and inspect: you should clean and inspect the adapter and the lens regularly, and make sure that the contacts and the terminals are free of dust, dirt, or damage. you should also check the AF/MF switch and the focus mode switch on the lens, and make sure that they are functioning correctly.

6. Dirty or Damaged Lens Contacts

The lens contacts are the metal parts on the rear of the lens that connect to the camera body and allow the communication between the lens and the camera. If the lens contacts are dirty or damaged, this may cause the autofocus to malfunction or stop working. Some of the symptoms of this problem are:

  • The camera displays an error message, such as Err 01 or Err 99, indicating a communication failure.
  • The camera does not recognize the lens or the lens information, such as the aperture or the focal length.
  • The autofocus does not operate at all, or it operates slowly, inaccurately, or inconsistently.

To fix this problem, you can try the following steps:

  • Clean the lens contacts with a soft cloth. you should gently wipe the lens contacts with a clean, dry, and lint-free cloth, such as a microfiber cloth. you should avoid using any abrasive or wet materials, such as sandpaper or alcohol, as they may damage the contacts or leave residues.
  • Inspect the lens contacts for any damage or corrosion. you should look for any signs of physical damage, such as scratches, dents, or cracks, or any signs of chemical damage, such as rust, oxidation, or discoloration. If the lens contacts are damaged or corroded, you may need to replace the lens or have it repaired by a qualified Canon service technician.

7. Camera Firmware Outdated

The camera firmware is the software that controls the functions and operations of the camera. It is important to keep the firmware updated to the latest version, as it may contain bug fixes, performance improvements, or new features that enhance the camera’s capabilities. One of the aspects that may benefit from a firmware update is the autofocus system, which may become faster, more accurate, or more reliable with the new firmware. For example, the firmware version 1.9.0 for the Canon EOS R5 camera added some features that improved the autofocus performance, such as the ability to erase or add voice memos to images, and enhanced security when sending images via FTPS transfer.

To update the firmware on the Canon EOS R5 camera, you can follow these steps:

********
# Ca3Sn3Ir
Computed XRD peak list, copper Kα. Input: a structure optimized by DFT (PBE).
Lines closer than 0.1° are merged.

Crystal structure
```
data_Ca3Sn3Ir
_chemical_formula_sum 'Ca12 Sn12 Ir4'
_cell_length_a 11.295
_cell_length_b 4.612
_cell_length_c 15.362
_cell_angle_alpha 90.00
_cell_angle_beta 108.87
_cell_angle_gamma 90.00
_symmetry_space_group_name_H-M 'C 1 2/m 1'
_symmetry_Int_Tables_number 12
loop_
_symmetry_equiv_pos_as_xyz
'x,y,z'
'-x,-y,-z'
'-x,y,-z'
'x,-y,z'
'x+1/2,y+1/2,z'
'-x+1/2,-y+1/2,-z'
'-x+1/2,y+1/2,-z'
'x+1/2,-y+1/2,z'
loop_
_atom_site_label
_atom_site_type_symbol
_atom_site_fract_x
_atom_site_fract_y
_atom_site_fract_z
Ca1 Ca 0.021 0.000 0.385
Ca2 Ca 0.098 0.000 0.919
Ca3 Ca 0.241 0.000 0.240
Sn1 Sn 0.032 0.500 0.239
Sn2 Sn 0.117 0.500 0.077
Sn3 Sn 0.156 0.500 0.537
Ir1 Ir 0.241 0.500 0.387
```

Largest 10 diffraction maxima, by angle, 5 to 70 degrees two-theta:
index	two_theta	I/Imax
0 0 1	6.08	1000
2 0 -1	15.71	513
1 1 0	20.98	310
2 0 -4	24.77	240
1 1 3	29.75	282
1 1 -4	30.29	268
3 1 2	37.05	774
4 0 -5	37.64	261
0 2 0	39.06	356
1 1 -7	46.16	213


(1)
Calculated X-ray diffraction stick pattern
Compound: VO2
Radiation: Cu Kα (weighted mean of Kα1 and Kα2)
Structure: a structure optimized by DFT (GGA+U)
No peak broadening, texture or thermal motion is included.

Structural model:
```
VO2
1.0
5.0078 0.0000 0.0000
-1.8635 4.6590 0.0000
-0.1744 -0.2845 9.1602
V O
6 12
Direct
0.0000 0.0000 0.0000
0.0498 0.4200 0.2570
0.4179 0.0681 0.2530
0.4871 0.5118 0.4999
0.5556 0.9304 0.7520
0.9057 0.5605 0.7584
0.0917 0.7581 0.1607
0.1837 0.1945 0.3886
0.2280 0.9035 0.8785
0.2451 0.6046 0.6604
0.2925 0.2994 0.1227
0.3927 0.7406 0.3781
0.5817 0.2638 0.6552
0.6813 0.6963 0.8891
0.7214 0.3911 0.3706
0.7523 0.0954 0.1551
0.7870 0.8029 0.6229
0.8800 0.2329 0.8700
```

Main lines, in order of falling intensity (2θ = 10–90°):
21.16 deg, 4.199 Å, I = 100
29.03 deg, 3.076 Å, I = 52
38.19 deg, 2.356 Å, I = 33
46.73 deg, 1.944 Å, I = 23
46.85 deg, 1.939 Å, I = 22
19.38 deg, 4.580 Å, I = 18
51.36 deg, 1.779 Å, I = 13
63.60 deg, 1.463 Å, I = 12
57.30 deg, 1.608 Å, I = 11
68.94 deg, 1.362 Å, I = 6



(2)
Calculated X-ray diffraction stick pattern
Compound: V2O5
Radiation: Cu Kα (weighted mean of Kα1 and Kα2)
Structure: a structure optimized by DFT (GGA+U)
No peak broadening, texture or thermal motion is included.

Structural model:
```
V2O5
1.0
0.0000 9.8963 2.9094
4.9017 0.0000 2.9094
4.9017 9.8963 0.0000
V O
4 10
Direct
0.0015 0.9985 0.8457
0.0957 0.4043 0.2515
0.4043 0.0957 0.2485
0.9985 0.0015 0.1543
0.1119 0.1119 0.8881
0.1122 0.2856 0.1129
0.1371 0.7606 0.1378
0.2213 0.7990 0.3961
0.2856 0.1122 0.4894
0.3619 0.3619 0.1381
0.6664 0.8539 0.4510
0.7606 0.1371 0.9644
0.7990 0.2213 0.5836
0.8539 0.6664 0.0287
```

Main lines, in order of falling intensity (2θ = 10–90°):
18.29 deg, 4.851 Å, I = 100
25.58 deg, 3.482 Å, I = 49
28.76 deg, 3.104 Å, I = 25
22.30 deg, 3.987 Å, I = 17
35.89 deg, 2.502 Å, I = 12
52.18 deg, 1.753 Å, I = 11
********

  • Download the firmware file from the Canon website or use the Canon EOS Utility software to check for available updates.
  • Copy the firmware file to a formatted memory card and insert it into the camera.
  • Power the camera on and go to the yellow wrench icon in the menu. Scroll over to screen 6, where you’ll see “Firmware” and the version. Select firmware and then choose update. The camera will begin the upgrade process, and it will let you know when it’s done.
  • Restart the camera and check the firmware version in the menu.

Salik Waquas is a seasoned professional in the world of cinema, bringing over a decade of experience as a cinematographer and colorist. With an eye for capturing the perfect shot and a passion for enhancing the visual storytelling of films, he has made a significant mark in the industry. Aside from mastering the art of cinematography and color grading, Salik also enjoys sharing insights and knowledge through the written word. As a dedicated blogger in the film industry, His articles cover a wide range of film-related topics, offering readers a unique perspective and valuable insights into the world of cinema.